One of the key technologies that improved vehicle connectivity will enable in the trucking industry is platooning. Benefits of the technology, which allows heavy-duty trucks to safely follow each other at close distances, are well documented – closing the distance between trucks reduces the aerodynamic drag on both a lead vehicle and those in its wake, meaning sizeable fuel-efficiency boosts. In addition, the self-driving technology that goes hand-in-hand with platooning will improve safety on the road, for both drivers and other road users. The average human driver takes around a second to react and apply brakes on the road; platooning systems can do this within a hundredth of a second.
The piece is interrupted by crystal structures
Na7Fe4P9O32: relaxed, PBE+U.

Energy in eV per atom: -6.73
Calculated density in g cm⁻³: 2.95
Formation energy in meV/atom: -2514
E (MP2020) in eV/atom: -7.325

a = 6.4656 Å, b = 14.3076 Å, c = 14.3076 Å
α = 90.00°, β = 90.11°, γ = 90.00°
Space group P2_1 (No. 4)
Asymmetric unit:
Na  0.0817  0.0000  0.2650 [2 per cell]
Na  0.1386  0.2417  0.6573 [2 per cell]
Na  0.1391  0.7265  0.8429 [2 per cell]
Na  0.2500  0.9839  0.7500 [2 per cell]
Na  0.3609  0.0767  0.0075 [2 per cell]
Na  0.3614  0.8912  0.4923 [2 per cell]
Na  0.4183  0.4689  0.7661 [2 per cell]
Fe  0.1248  0.2931  0.3697 [2 per cell]
Fe  0.1247  0.6752  0.1302 [2 per cell]
Fe  0.3752  0.3643  0.0592 [2 per cell]
Fe  0.3753  0.6037  0.4412 [2 per cell]
P  0.1097  0.0972  0.5016 [2 per cell]
P  0.1099  0.8707  0.9987 [2 per cell]
P  0.1429  0.5393  0.9497 [2 per cell]
P  0.1451  0.4284  0.5503 [2 per cell]
P  0.2500  0.4840  0.2500 [2 per cell]
P  0.3550  0.7843  0.3055 [2 per cell]
P  0.3569  0.1836  0.1946 [2 per cell]
P  0.3903  0.2324  0.8632 [2 per cell]
P  0.3902  0.7353  0.6367 [2 per cell]
O  0.0630  0.9926  0.4627 [2 per cell]
O  0.0642  0.6247  0.4314 [2 per cell]
O  0.0635  0.9754  0.0366 [2 per cell]
O  0.0646  0.3432  0.0686 [2 per cell]
O  0.0812  0.3356  0.5036 [2 per cell]
O  0.0809  0.6323  0.9964 [2 per cell]
O  0.1049  0.4201  0.3091 [2 per cell]
O  0.1048  0.5478  0.1908 [2 per cell]
O  0.1278  0.1575  0.4145 [2 per cell]
O  0.1283  0.8097  0.0850 [2 per cell]
O  0.1699  0.5525  0.8452 [2 per cell]
O  0.1714  0.4156  0.6549 [2 per cell]
O  0.1751  0.2324  0.2426 [2 per cell]
O  0.1749  0.7347  0.2574 [2 per cell]
O  0.1897  0.1768  0.8496 [2 per cell]
O  0.1895  0.7910  0.6504 [2 per cell]
O  0.3104  0.0836  0.5572 [2 per cell]
O  0.3104  0.8843  0.9429 [2 per cell]
O  0.3249  0.4765  0.5008 [2 per cell]
O  0.3250  0.4913  0.9985 [2 per cell]
O  0.3287  0.8888  0.3184 [2 per cell]
O  0.3300  0.0791  0.1815 [2 per cell]
O  0.3721  0.3195  0.9236 [2 per cell]
O  0.3717  0.6490  0.5757 [2 per cell]
O  0.3951  0.4248  0.1862 [2 per cell]
O  0.3952  0.5431  0.3139 [2 per cell]
O  0.4190  0.2304  0.1016 [2 per cell]
O  0.4189  0.7376  0.3983 [2 per cell]
O  0.4355  0.3025  0.3907 [2 per cell]
O  0.4356  0.6652  0.1092 [2 per cell]
O  0.4365  0.6973  0.7414 [2 per cell]
O  0.4370  0.2713  0.7586 [2 per cell]


# 1
# Li6V3P8O29, relaxed, DFT PBE+U
# E above lowest polymorph = 0.19 eV/f.u.
# Total DFT energy (no corrections) = -7.017 eV per atom
# DFT formation energy = -122.292 eV per formula unit
# Mass density = 2.6 g/cm³
# Total moment = 6.0 μB/cell
data_Li6V3P8O29
_symmetry_space_group_name_H-M 'P 1'
_symmetry_Int_Tables_number 1
_symmetry_space_group_name_Hall 'P 1'
_cell_length_a 9.7994
_cell_length_b 9.8103
_cell_length_c 13.9735
_cell_angle_alpha 90.28
_cell_angle_beta 90.15
_cell_angle_gamma 119.94
loop_
_atom_site_label
_atom_site_type_symbol
_atom_site_fract_x
_atom_site_fract_y
_atom_site_fract_z
Li1 Li 0.0000 0.0000 0.0000
Li2 Li 0.0040 0.4439 0.4974
Whilst autonomous vehicle technology such as sensors will be an essential part of any platooning system, it is important to attach equal weight to the role of connectivity, says Josh Switkes, Chief Executive of Peloton Technology. Switkes’ company develops and offers a platooning system which makes use of sensing, communications and data, and the company is on target to begin a commercial roll-out of its systems later this year in North America.
Platooning technology is on the verge of reaching maturity, and has already begun enjoying public visibility. In 2016, the Dutch government initiated The European Truck Platooning challenge, and orchestrated a high-profile demo in April. A number of platoons travelled across the continent to the Dutch port of Maasvlakte, with some clocking up distances of over 2,000 km (1,240 miles) on public roads.
Inserted here: crystal structures >
____________
Entry 1:
# PBE DyMgAg, optimized geometry
# - E_tot: -3.284 eV/atom
# - Energy of formation: -26 kJ per mole of atoms
data_DyMgAg
_cell_length_a 7.6092
_cell_length_b 7.6092
_cell_length_c 4.2733
_cell_angle_alpha 90.00
_cell_angle_beta 90.00
_cell_angle_gamma 120.00
_symmetry_space_group_name_H-M 'P -6 2 m'
_symmetry_Int_Tables_number 189
_symmetry_space_group_name_Hall 'P -6 -2'
loop_
_atom_site_label
_atom_site_fract_x
_atom_site_fract_y
_atom_site_fract_z
Dy1 0.0000 0.4142 0.0000
Mg1 0.0000 0.7560 0.5000
Ag1 0.0000 0.0000 0.0000
Ag2 0.3333 0.6667 0.5000


Entry 2:
# PBE Dy2AgRu, optimized geometry
# - E_tot: -5.691 eV/atom
# - Energy of formation: -35 kJ per mole of atoms
data_Dy2AgRu
_cell_length_a 7.0208
_cell_length_b 7.0208
_cell_length_c 7.0208
_cell_angle_alpha 90.00
_cell_angle_beta 90.00
_cell_angle_gamma 90.00
_symmetry_space_group_name_H-M 'F m -3 m'
_symmetry_Int_Tables_number 225
_symmetry_space_group_name_Hall '-F 4 2 3'
loop_
_atom_site_label
_atom_site_fract_x
_atom_site_fract_y
_atom_site_fract_z
Dy1 0.2500 0.2500 0.2500
Ag1 0.0000 0.0000 0.0000
Ru1 0.0000 0.0000 0.5000


Entry 3:
# PBE Dy5AgS8, optimized geometry
# - E_tot: -6.032 eV/atom
# - Energy of formation: -203 kJ per mole of atoms
# - Total magnetic moment: 0.0 μB per formula unit
data_Dy5AgS8
_cell_length_a 8.3259
_cell_length_b 8.3259
_cell_length_c 8.3678
_cell_angle_alpha 90.00
_cell_angle_beta 90.00
_cell_angle_gamma 90.00
_symmetry_space_group_name_H-M 'I -4'
_symmetry_Int_Tables_number 82
loop_
_symmetry_equiv_pos_as_xyz
'x,y,z'
'y,-x,-z'
'-x,-y,z'
'-y,x,-z'
'x+1/2,y+1/2,z+1/2'
'y+1/2,-x+1/2,-z+1/2'
'-x+1/2,-y+1/2,z+1/2'
'-y+1/2,x+1/2,-z+1/2'
loop_
_atom_site_label
_atom_site_fract_x
_atom_site_fract_y
_atom_site_fract_z
Dy1 0.0000 0.0000 0.0000
Dy2 0.1348 0.2471 0.6186
Ag1 0.0000 0.5000 0.2500
S1 0.0690 0.1793 0.3020
S2 0.0727 0.3131 0.9316


Entry 4:
# PBE DyAgSb2, optimized geometry
# - E_tot: -4.535 eV/atom
# - Energy of formation: -68 kJ per mole of atoms
data_DyAgSb2
_cell_length_a 4.3278
_cell_length_b 4.3278
_cell_length_c 10.5521
_cell_angle_alpha 90.00
_cell_angle_beta 90.00
_cell_angle_gamma 90.00
_symmetry_space_group_name_H-M 'P 4/n m m'
_symmetry_Int_Tables_number 129
loop_
_symmetry_equiv_pos_as_xyz
'x,y,z'
'-x,-y,-z'
'-y+1/2,x,z'
'y+1/2,-x,-z'
'-x+1/2,-y+1/2,z'
'x+1/2,y+1/2,-z'
'y,-x+1/2,z'
'-y,x+1/2,-z'
'x+1/2,-y,-z'
'-x+1/2,y,z'
'-y,-x,-z'
'y,x,z'
'-x,y+1/2,-z'
'x,-y+1/2,z'
'y+1/2,x+1/2,-z'
'-y+1/2,-x+1/2,z'
loop_
_atom_site_label
_atom_site_fract_x
_atom_site_fract_y
_atom_site_fract_z
Dy1 0.2500 0.2500 0.2360
Ag1 0.2500 0.7500 0.5000
Sb1 0.2500 0.2500 0.6846
Sb2 0.2500 0.7500 0.0000


Entry 5:
# PBE DyAgSe2, optimized geometry
# - E_tot: -4.814 eV/atom
# - Energy of formation: -139 kJ per mole of atoms
data_DyAgSe2
_cell_length_a 4.2834
_cell_length_b 6.8488
_cell_length_c 13.8554
_cell_angle_alpha 90.00
_cell_angle_beta 90.00
_cell_angle_gamma 90.00
_symmetry_space_group_name_H-M 'P 21 21 21'
_symmetry_Int_Tables_number 19
loop_
____________
Here the piece continues >
But Peloton, which has been involved in a number of North American trials, is convinced the technology will rise to prominence in its home market. “In several ways, North America is the best initial region for platooning,” suggests Switkes. Of course, he adds, it will expand from there, but the benefits seem clear: “For example, distances on the highway in America are much longer compared with Western Europe. Furthermore, you rarely drive for long in Western Europe without passing through or near a city, whereas in the US you can drive hundreds of miles without getting close to one.”
Longer highway stretches typically mean higher average speeds, in which aerodynamic drag becomes more of an issue that needs addressing. Other factors making the North American market particularly suitable for the roll-out of platooning technology include the large size of fleets, where companies may run up to 30,000 vehicles – much higher than in Europe.
The connected fleet
One of Peloton’s key interests in the sector is connectivity. As Switkes explains, there are two major forms of connectivity that will enable the company’s system. One of these is vehicle-to-vehicle (V2V) connectivity which runs between the individual trucks in a platoon, made possible via dedicated short-range communications (DSRC), specifically designed for the automotive sector. Whilst the ability of Peloton’s radar sensor is an important component that can still outperform a human, the processing involved means that sensing systems alone may not be able to respond in time to avoid a collision when required.
“Truck-to-truck communication is key because it can provide data to trucks behind the leader much sooner and more reliably than a sensor can alone,” says Switkes. “For example, a rear truck could receive information on when the brakes on the front truck are being applied. A fraction of a second later, that front truck will physically slow down, and it’s not until another fraction of a second later that a sensor can reliably detect that slow-down.”
Reliability and accuracy are important considerations. V2V communication can give a rear truck accurate data on the strength and nature of the braking. By contrast, a sensor can only detect slow-down, and struggles to identify the difference between the brakes being applied and a driver taking their foot off the gas. Figuring this out means another delay, and at close distances there might be no time for such a delay.
In addition to V2V connectivity, a second essential component in platooning is Cloud connectivity via cellular and Wi-Fi communications. Peloton makes use of a network-operations centre (NOC) which tracks each truck’s exact location, and makes recommendations for platooning where appropriate. “The Cloud authorises and supervises the process,” says Switkes. “So we only authorise a platoon when it meets certain conditions. If the weather is severe, we can exclude trucks from entering platooning mode.” In addition, platooning can only be activated along certain roads and under certain traffic conditions. Once activated, the NOC continuously analyses the situation and adjusts the distance between the trucks to achieve an optimal balance between safety and efficiency.
There are also opportunities in which V2V-connectivity can work with the Cloud. Using sensors and continuous communication, trucks can build up an accurate picture of the capabilities of trucks behind the leader. One important example is braking distance. This could later allow for the intelligent ordering of trucks within a platoon, sending the better-performing truck to the back, and improving safety.
“In several ways, North America is the best initial region for platooning. For example, distances on the highway in America are much longer compared with Western Europe”
Next to the text, the page also holds records of crystals >
# 1
# Mn3Al4FeP4H16O28

A relaxed Mn3Al4FeP4H16O28 crystal (PBE with a Hubbard U, Materials Project).

raw total energy = -6.389 eV/atom
DFT formation energy = -2.12 eV/atom

Lattice parameters (Å, degrees): 6.594 6.594 13.052 89.85 89.85 108.13
Fractional positions:
Mn: 0.359 0.641 0.000
Mn: 0.875 0.125 0.000
Mn: 0.624 0.376 0.500
Al: 0.012 0.036 0.259
Al: 0.534 0.507 0.242
Al: 0.964 0.988 0.741
Al: 0.493 0.466 0.758
Fe: 0.138 0.862 0.500
P: 0.137 0.375 0.583
P: 0.870 0.640 0.918
P: 0.360 0.130 0.082
P: 0.625 0.863 0.417
H: 0.148 0.755 0.677
H: 0.264 0.664 0.816
H: 0.740 0.162 0.176
H: 0.685 0.249 0.325
H: 0.838 0.260 0.824
H: 0.751 0.315 0.675
H: 0.245 0.852 0.323
H: 0.336 0.736 0.184
H: 0.212 0.292 0.398
H: 0.900 0.589 0.172
H: 0.283 0.215 0.896
H: 0.567 0.855 0.692
H: 0.785 0.717 0.104
H: 0.145 0.433 0.308
H: 0.708 0.788 0.602
H: 0.411 0.100 0.828
O: 0.128 0.888 0.653
O: 0.394 0.639 0.841
O: 0.875 0.136 0.160
O: 0.647 0.379 0.340
O: 0.864 0.125 0.840
O: 0.621 0.353 0.660
O: 0.112 0.872 0.347
O: 0.361 0.606 0.159
O: 0.009 0.799 0.839
O: 0.304 0.512 0.659
O: 0.797 0.030 0.353
O: 0.533 0.302 0.143
O: 0.970 0.203 0.647
O: 0.698 0.467 0.857
O: 0.201 0.991 0.161
O: 0.488 0.696 0.341
O: 0.489 0.977 0.474
O: 0.470 0.995 0.021
O: 0.005 0.530 0.979
O: 0.023 0.511 0.526
O: 0.192 0.306 0.317
O: 0.806 0.678 0.181
O: 0.322 0.194 0.819
O: 0.694 0.808 0.683
O: 0.252 0.266 0.504
O: 0.761 0.760 0.994
O: 0.240 0.239 0.006
O: 0.734 0.748 0.496



# 2
# KMg2AlFeSi3O12

A relaxed KMg2AlFeSi3O12 crystal (PBE with a Hubbard U, Materials Project).

raw total energy = -7.009 eV/atom
DFT formation energy = -2.92 eV/atom

Lattice parameters (Å, degrees): 9.233 10.670 11.403 113.98 82.61 90.73
Fractional positions:
K: 0.248 0.635 0.027
K: 0.248 0.135 0.027
K: 0.748 0.385 0.027
K: 0.748 0.885 0.027
Mg: 0.170 0.994 0.495
Mg: 0.170 0.494 0.495
Mg: 0.670 0.744 0.495
Mg: 0.670 0.244 0.495
Mg: 0.331 0.753 0.496
Mg: 0.331 0.253 0.496
Mg: 0.831 0.503 0.496
Mg: 0.831 0.003 0.496
Al: 0.049 0.974 0.227
Al: 0.049 0.474 0.227
Al: 0.549 0.724 0.228
Al: 0.549 0.224 0.228
Fe: 0.497 0.996 0.496
Fe: 0.997 0.746 0.496
Fe: 0.497 0.496 0.496
Fe: 0.997 0.246 0.496
Si: 0.383 0.469 0.224
Si: 0.383 0.969 0.224
Si: 0.883 0.219 0.224
Si: 0.883 0.719 0.224
Si: 0.453 0.776 0.769
Si: 0.453 0.276 0.769
Si: 0.953 0.526 0.769
Si: 0.953 0.026 0.769
Si: 0.121 0.278 0.769
Si: 0.121 0.778 0.769
Si: 0.621 0.028 0.769
Si: 0.621 0.528 0.769
O: 0.503 0.341 0.167
O: 0.503 0.841 0.167
O: 0.003 0.091 0.167
O: 0.003 0.591 0.167
O: 0.025 0.926 0.826
O: 0.025 0.426 0.826
O: 0.525 0.676 0.826
O: 0.525 0.176 0.826
O: 0.437 0.585 0.171
O: 0.437 0.085 0.171
O: 0.937 0.334 0.171
O: 0.937 0.834 0.171
O: 0.229 0.913 0.169
O: 0.229 0.413 0.169
O: 0.729 0.663 0.169
O: 0.729 0.163 0.169
O: 0.031 0.175 0.826
O: 0.031 0.675 0.826
O: 0.531 0.925 0.826
O: 0.531 0.425 0.826
O: 0.278 0.806 0.828
O: 0.278 0.306 0.828
O: 0.778 0.556 0.828
O: 0.778 0.056 0.828
O: 0.019 0.045 0.400
O: 0.019 0.545 0.400
O: 0.519 0.795 0.400
The likely mandating of DSRC for passenger cars, along with the ever-increasing use of cellular communications in vehicles, means drivers could receive alerts on where platoons are operating and where they may appear. This could potentially help the public warm to the idea of heavy-duty trucks autonomously cruising down the highway in tight formation.
On the issue of public acceptance, Switkes is confident. “It’s a very important area, but on the whole, we don’t see any big issues,” he asserts. “To begin, much of where platooning will be allowed is not where the majority of general public driving is done. We’re talking interstates – the major US highways outside of cities, extended stretches of which are not a usual feature of the daily commute.
“In addition,” he continues, “what we’ve found is that platooning actually makes things easier for road users. It’s easier to drive around a set of platooning trucks than it is a set of manually-driven trucks. We think the public will see this and learn from it quickly.” Peloton has built the system to handle situations such as cut-ins, where drivers move in to the gap between platooning trucks.
Automating value
Besides connectivity, the other important dimension of platooning is self-driving capability. Peloton’s initial technology automates only accelerating and braking, which for now is helpful from a regulatory perspective as the laws governing the use of autonomous vehicles – which differ widely from state to state – do not apply.
But the company is already looking ahead to what more advanced offerings might look like. Eventually, says Switkes, trucks could steer themselves: “The next step is higher levels of automation for following-trucks. The development of capabilities for the front truck will take longer, and for the time being they will still require a driver to deal with difficult situations. But more automation of rear trucks for certain portions of the journey is a certainty.”
What is important for a supplier like Peloton, he says in conclusion, is offering value to fleet customers at each stop along the automation curve. Platooning will initially save on fuel and repair costs, and will later go on to save on labour costs. Full automation will also provide opportunities to fully optimise truck use in terms of routes and dispatch timing. It is not, he insists, automation for automation’s sake.